Entries >
- - -
*one*
Crystalline Tb2AgS at its relaxed geometry, computed with PBE.

Results
space-group type	R-3m, No. 166
V	24.1	Å³/atom

Lattice parameters (Å, degrees): 3.917 3.917 21.801 90.00 90.00 120.00
Positions (direct):
1 Tb 0.000 0.000 0.241
2 Tb 0.000 0.000 0.759
3 Tb 0.333 0.667 0.426
4 Tb 0.333 0.667 0.908
5 Tb 0.667 0.333 0.092
6 Tb 0.667 0.333 0.574
7 Ag 0.000 0.000 0.000
8 Ag 0.333 0.667 0.667
9 Ag 0.667 0.333 0.333
10 S 0.000 0.000 0.500
11 S 0.333 0.667 0.167
12 S 0.667 0.333 0.833

---

*two*
Crystalline Tb2AgS at its relaxed geometry, computed with PBE.

Results
space-group type	Cmcm, No. 63
V	23.5	Å³/atom

Lattice parameters (Å, degrees): 3.979 23.175 4.076 90.00 90.00 90.00
Positions (direct):
1 Tb 0.000 0.075 0.250
2 Tb 0.000 0.311 0.250
3 Tb 0.000 0.689 0.750
4 Tb 0.000 0.925 0.750
5 Tb 0.500 0.189 0.750
6 Tb 0.500 0.425 0.750
7 Tb 0.500 0.575 0.250
8 Tb 0.500 0.811 0.250
9 Ag 0.000 0.457 0.250
10 Ag 0.000 0.543 0.750
11 Ag 0.500 0.043 0.750
12 Ag 0.500 0.957 0.250
13 S 0.000 0.194 0.250
14 S 0.000 0.806 0.750
15 S 0.500 0.306 0.750
16 S 0.500 0.694 0.250

---

*three*
Crystalline Tb2AgS at its relaxed geometry, computed with PBE.

Results
space-group type	R3m, No. 160
V	24.1	Å³/atom

Lattice parameters (Å, degrees): 3.838 3.838 22.673 90.00 90.00 120.00
Positions (direct):
1 Tb 0.000 0.000 0.000
2 Tb 0.000 0.000 0.187
3 Tb 0.333 0.667 0.667
4 Tb 0.333 0.667 0.854
5 Tb 0.667 0.333 0.333
6 Tb 0.667 0.333 0.520
7 Ag 0.000 0.000 0.426
8 Ag 0.333 0.667 0.093
9 Ag 0.667 0.333 0.760
10 S 0.000 0.000 0.595
11 S 0.333 0.667 0.262
12 S 0.667 0.333 0.928

---

Q: Which of them is the most stable? A: *two*.

---

*one*
Crystalline TcAgS2 at its relaxed geometry, computed with PBE.

Results
space-group type	R-3m, No. 166
V	19.5	Å³/atom

Lattice parameters (Å, degrees): 3.435 3.435 22.881 90.00 90.00 120.00
Positions (direct):
1 Tc 0.000 0.000 0.000
2 Tc 0.333 0.667 0.667
3 Tc 0.667 0.333 0.333
4 Ag 0.000 0.000 0.500
5 Ag 0.333 0.667 0.167
6 Ag 0.667 0.333 0.833
7 S 0.000 0.000 0.394
8 S 0.000 0.000 0.606
9 S 0.333 0.667 0.061
10 S 0.333 0.667 0.272
11 S 0.667 0.333 0.728
12 S 0.667 0.333 0.939

---

*two*
Crystalline TcAgS2 at its relaxed geometry, computed with PBE.

Results
space-group type	I-42d, No. 122
V	21.2	Å³/atom

Lattice parameters (Å, degrees): 5.563 5.563 10.962 90.00 90.00 90.00
Positions (direct):
1 Tc 0.000 0.000 0.000
2 Tc 0.000 0.500 0.250
3 Tc 0.500 0.000 0.750
4 Tc 0.500 0.500 0.500
5 Ag 0.000 0.000 0.500
6 Ag 0.000 0.500 0.750
7 Ag 0.500 0.000 0.250
8 Ag 0.500 0.500 0.000
9 S 0.204 0.250 0.125
10 S 0.250 0.704 0.375
11 S 0.250 0.796 0.875
12 S 0.296 0.250 0.625
13 S 0.704 0.750 0.625
14 S 0.750 0.204 0.875
15 S 0.750 0.296 0.375
16 S 0.796 0.750 0.125

---

*three*
Crystalline TcAgS2 at its relaxed geometry, computed with PBE.

Results
space-group type	Fm-3m, No. 225
V	15.0	Å³/atom

Lattice parameters (Å, degrees): 6.218 6.218 6.218 90.00 90.00 90.00
Positions (direct):
1 Tc 0.000 0.000 0.000
2 Tc 0.000 0.500 0.500
3 Tc 0.500 0.000 0.500
4 Tc 0.500 0.500 0.000
5 Ag 0.000 0.000 0.500
6 Ag 0.000 0.500 0.000
7 Ag 0.500 0.000 0.000
8 Ag 0.500 0.500 0.500
9 S 0.250 0.250 0.250
10 S 0.250 0.250 0.750
11 S 0.250 0.750 0.250
12 S 0.250 0.750 0.750
13 S 0.750 0.250 0.250
14 S 0.750 0.250 0.750
15 S 0.750 0.750 0.250
16 S 0.750 0.750 0.750

---

*four*
Crystalline TcAgS2 at its relaxed geometry, computed with PBE.

Results
space-group type	R-3m, No. 166
V	17.4	Å³/atom

Lattice parameters (Å, degrees): 3.076 3.076 25.482 90.00 90.00 120.00
Positions (direct):
1 Tc 0.000 0.000 0.000
2 Tc 0.333 0.667 0.667
3 Tc 0.667 0.333 0.333
4 Ag 0.000 0.000 0.500
5 Ag 0.333 0.667 0.167
6 Ag 0.667 0.333 0.833
7 S 0.000 0.000 0.087
8 S 0.000 0.000 0.913
9 S 0.333 0.667 0.580
10 S 0.333 0.667 0.754
11 S 0.667 0.333 0.246
12 S 0.667 0.333 0.420

---

Q: Which of them is the most stable? A: *one*.

---

*one*
Crystalline AgTe2S4 at its relaxed geometry, computed with PBE.

Results
space-group type	Pbam, No. 55
V	23.4	Å³/atom
- - -

To do >
Next, transcribe every line further above that contains the word "with".

Worked solution >
Crystalline Tb2AgS at its relaxed geometry, computed with PBE.
Crystalline Tb2AgS at its relaxed geometry, computed with PBE.
Crystalline Tb2AgS at its relaxed geometry, computed with PBE.
Crystalline TcAgS2 at its relaxed geometry, computed with PBE.
Crystalline TcAgS2 at its relaxed geometry, computed with PBE.
Crystalline TcAgS2 at its relaxed geometry, computed with PBE.
Crystalline TcAgS2 at its relaxed geometry, computed with PBE.
Crystalline AgTe2S4 at its relaxed geometry, computed with PBE.